I Was
Raped by Priest in Orphanage
By Ben Borland Scottish Express February 2,
AUSTERE: Nazareth House has
been involved in multipler sexual abuse cases [MIKE GIBBONS]
A DISABLED mother-of-two has claimed she was raped by a
priest and sexually abused by a female care worker when she was
a young child in a Scottish orphanage.
Joanne Peacher said the appalling attacks took place in
the late 1970s in a Nazareth House children's home, which have
been at the centre of several previous abuse scandals.
The Sisters of Nazareth, the Roman Catholic order of
nuns which operated dozens of orphanages across Britain, recently
apologised to children who suffered in their institutions in
Northern Ireland.
That apology came at the start of a public inquiry in
the Province, the largest of its kind in UK history, yet the
Scottish Government has consistently ignored demands to set up a
similar judge-led investigation here.
Last night, Mrs Peacher and her husband Andrew said they
hoped that by coming forward with their story they could help put
pressure on Holyrood ministers to start taking the issue
They reported both incidents to the police in 2002 but
were eventually told there was not enough evidence to proceed.
Last night, Police Scotland confirmed that a new inquiry was now
Mrs Peacher was placed into the imposing, red-brick
orphanage in Cardonald, Glasgow, by social services because her
mother had drug addiction problems and couldn't cope.
She said: "When I first got to Nazareth House I thought
it was actually OK, the sisters were mostly nice and my sister
used to be allowed to come and visit me. That all changed
"I was sexually abused by one of the care staff. I was
lying in bed with German measles and not allowed out for two
weeks. I had also broken my leg so I was in a right state.
"She came in with a broom handle and a surgical mask
over her face and she abused me with the stick. She never
explained why and I never told anybody about it for a long time.
Eventually I told my husband and we got the police involved but
/*
# 1
# KRb2As2Pt
Theoretical PXRD pattern, a wavelength of 1.5418 Å. Input: a PBE-relaxed structure.
Intensities are scaled so that the largest is 100.

Structure:
Unit cell a=8.928 b=8.928 c=8.928 alpha=123.09 beta=78.71 gamma=130.53
Element x y z (fractional)
K (0.250, 0.250, 0.000)
K (0.750, 0.750, 0.000)
Rb (0.198, 0.657, 0.855)
Rb (0.302, 0.157, 0.459)
Rb (0.698, 0.843, 0.541)
Rb (0.802, 0.343, 0.145)
As (0.050, 0.318, 0.368)
As (0.450, 0.818, 0.268)
As (0.550, 0.182, 0.732)
As (0.950, 0.682, 0.632)
Pt (0.250, 0.750, 0.500)
Pt (0.750, 0.250, 0.500)

Largest 8 diffraction maxima, sorted by position, 2θ from 10° to 90°:
Position (°2θ)  I_rel
12.22  100
12.82  39
25.81  17
27.14  17
30.40  31
31.88  30
34.49  20
40.46  23


# 2
# KSnAs2Pt4
Theoretical PXRD pattern, a wavelength of 1.5418 Å. Input: a PBE-relaxed structure.
Intensities are scaled so that the largest is 100.

Structure:
Unit cell a=4.048 b=4.048 c=10.659 alpha=90.00 beta=90.00 gamma=90.00
Element x y z (fractional)
K (0.000, 0.000, 0.000)
Sn (0.000, 0.000, 0.500)
As (0.500, 0.500, 0.184)
As (0.500, 0.500, 0.816)
Pt (0.000, 0.500, 0.319)
Pt (0.000, 0.500, 0.681)
Pt (0.500, 0.000, 0.319)
Pt (0.500, 0.000, 0.681)

Largest 8 diffraction maxima, sorted by position, 2θ from 10° to 90°:
Position (°2θ)  I_rel
16.63  45
25.06  24
31.25  21
35.60  44
40.47  100
44.78  45
53.60  21
79.60  29


# 3
# K2SrAs2Pt
Theoretical PXRD pattern, a wavelength of 1.5418 Å. Input: a PBE-relaxed structure.
Intensities are scaled so that the largest is 100.

Structure:
Unit cell a=8.603 b=8.603 c=8.603 alpha=128.83 beta=79.65 gamma=123.55
Element x y z (fractional)
K (0.209, 0.119, 0.329)
K (0.291, 0.619, 0.910)
K (0.709, 0.381, 0.090)
K (0.791, 0.881, 0.671)
Sr (0.250, 0.750, 0.500)
Sr (0.750, 0.250, 0.500)
As (0.030, 0.802, 0.833)
As (0.470, 0.302, 0.772)
As (0.530, 0.698, 0.228)
As (0.970, 0.198, 0.167)
Pt (0.250, 0.250, 0.000)
Pt (0.750, 0.750, 0.000)

Largest 8 diffraction maxima, sorted by position, 2θ from 10° to 90°:
Position (°2θ)  I_rel
13.40  100
13.67  43
25.71  16
26.99  30
32.64  31
35.43  50
42.85  25
46.75  13


# 4
# K2PuAs2S6
Theoretical PXRD pattern, a wavelength of 1.5418 Å. Input: a PBE-relaxed structure.
Intensities are scaled so that the largest is 100.

Structure:
Unit cell a=8.046 b=8.046 c=7.174 alpha=113.08 beta=113.08 gamma=51.58
Element x y z (fractional)
K (0.249, 0.249, 0.227)
K (0.751, 0.751, 0.773)
Pu (0.500, 0.500, 0.000)
As (0.029, 0.029, 0.354)
As (0.971, 0.971, 0.646)
S (0.162, 0.686, 0.169)
S (0.314, 0.838, 0.831)
S (0.330, 0.330, 0.722)
S (0.670, 0.670, 0.278)
S (0.686, 0.162, 0.169)
S (0.838, 0.314, 0.831)

Largest 8 diffraction maxima, sorted by position, 2θ from 10° to 90°:
Position (°2θ)  I_rel
13.58  100
13.71  36
17.72  73
21.88  75
22.89  66
25.45  34
29.24  57
35.89  47


# 5
# K6Rb12As
Theoretical PXRD pattern, a wavelength of 1.5418 Å. Input: a PBE-relaxed structure.
Intensities are scaled so that the largest is 100.

Structure:
*/
they couldn't do anything."
The couple believe the motive was revenge because Mrs
Peacher had complained to her mother that the woman, who was in
her late 20s or early 30s at the time, had been bullying her.
Mrs Peacher added: "I was too scared to say anything to
them about what happened and nobody knew about it, only me and
"After she did that to me one of her close friends told
me she was sorry but to keep my mouth shut."
However, within weeks of that horrific experience in the
summer of 1978 - when she was just nine years old - Mrs Peacher
claims that she and her two female room-mates were raped by a
She said: "It was night time and I was in bed, he put
the light on and jumped on top."
"He was a young man and he did it to two other girls as
well. Me and these two girls shared a bedroom. We talked about
what happened but we never reported it because we were too
"I knew he was a priest because he had the collar on.
The abuse happened on separate nights. He did it to one girl
once, another girl two times and he did it to me once.
"After this I wanted to get out of Nazareth House and
they thought I might be missing my sister, so they moved me to
another care home in Easterhouse where she was. I never saw
either of my abusers again."
However, the 45 year old - who had learning difficulties
as a child even before the alleged attacks took place - has been
left with enduring mental health problems which have scarred her
Now living in Grimsby, Lincolnshire, Mrs Peacher's two
children have been taken into care as a result of her personality
disorder - although the couple are allowed regular contact with
== What comes next are calculated crystals, not part of the text ==
~~~
[1]
For CePa2F8, a structure optimized by DFT (GGA-PBE) gives the calculated powder diffractogram in this record (Cu Kα, 1.54184 Å).
No peak broadening, texture or thermal motion is included.

Structural model:
Cell: 13.133 4.933 6.416 Å, 90.00 118.29 90.00°
Space group C2/m (No. 12)
One atom of each set of equivalent atoms:
Ce (0.000, 0.000, 0.000) x2
Pa (0.230, 0.000, 0.728) x4
F (0.090, 0.500, 0.954) x4
F (0.139, 0.252, 0.372) x8
F (0.224, 0.000, 0.116) x4

Top 10 peaks for 5° ≤ 2θ ≤ 70°, in order of rising 2θ:
(2 0 0), 2θ 15.3, d = 5.782 Å, I 710
(1 1 -1), 2θ 22.7, d = 3.911 Å, I 485
(1 1 1), 2θ 27.4, d = 3.255 Å, I 879
(3 1 -1), 2θ 27.7, d = 3.224 Å, I 1000
(2 0 -2), 2θ 27.8, d = 3.208 Å, I 421
(4 0 0), 2θ 30.9, d = 2.891 Å, I 265
(0 2 0), 2θ 36.4, d = 2.466 Å, I 278
(2 2 -2), 2θ 46.4, d = 1.955 Å, I 359
(4 2 0), 2θ 48.5, d = 1.876 Å, I 265
(5 1 -3), 2θ 49.3, d = 1.849 Å, I 360

---

[2]
For Tm3Si4Rh, a structure optimized by DFT (GGA-PBE) gives the calculated powder diffractogram in this record (Cu Kα, 1.54184 Å).
No peak broadening, texture or thermal motion is included.

Structural model:
Cell: 4.188 5.598 14.378 Å, 90.00 90.00 90.00°
Space group Immm (No. 71)
One atom of each set of equivalent atoms:
Tm (0.000, 0.000, 0.000) x2
Tm (0.000, 0.500, 0.194) x4
Si (0.000, 0.292, 0.379) x8
Rh (0.000, 0.000, 0.500) x2

Top 10 peaks for 5° ≤ 2θ ≤ 70°, in order of rising 2θ:
(0 1 3), 2θ 24.5, d = 3.641 Å, I 312
(1 1 2), 2θ 29.4, d = 3.039 Å, I 1000
(0 2 0), 2θ 32.0, d = 2.799 Å, I 187
(1 1 4), 2θ 36.7, d = 2.452 Å, I 123
(1 0 5), 2θ 38.0, d = 2.370 Å, I 211
(1 2 1), 2θ 39.2, d = 2.297 Å, I 103
(0 2 4), 2θ 40.9, d = 2.208 Å, I 133
(2 0 0), 2θ 43.2, d = 2.094 Å, I 272
(1 3 2), 2θ 55.4, d = 1.659 Å, I 173
(1 1 8), 2θ 58.2, d = 1.584 Å, I 166

---

[3]
For Al3V13, a structure optimized by DFT (GGA-PBE) gives the calculated powder diffractogram in this record (Cu Kα, 1.54184 Å).
No peak broadening, texture or thermal motion is included.

Structural model:
Cell: 6.104 8.547 8.501 Å, 90.00 90.00 90.00°
Space group Amm2 (No. 38)
One atom of each set of equivalent atoms:
Al (0.000, 0.000, 0.000) x2
Al (0.251, 0.000, 0.262) x4
V (0.000, 0.000, 0.517) x2
V (0.000, 0.240, 0.752) x4
V (0.254, 0.247, 0.509) x8
V (0.257, 0.000, 0.754) x4
V (0.500, 0.000, 0.000) x2
V (0.500, 0.000, 0.516) x2
V (0.500, 0.241, 0.753) x4

Top 10 peaks for 5° ≤ 2θ ≤ 70°, in order of rising 2θ:
(0 1 1), 2θ 14.7, d = 6.027 Å, I 81
(0 2 0), 2θ 20.8, d = 4.278 Å, I 22
(2 0 2), 2θ 36.2, d = 2.480 Å, I 8
(2 2 2), 2θ 42.1, d = 2.144 Å, I 1000
(0 4 0), 2θ 42.3, d = 2.137 Å, I 245
(0 0 4), 2θ 42.5, d = 2.125 Å, I 241
(2 3 1), 2θ 44.8, d = 2.023 Å, I 9
(0 5 1), 2θ 54.7, d = 1.677 Å, I 17
(4 0 0), 2θ 60.7, d = 1.526 Å, I 77
(0 4 4), 2θ 61.5, d = 1.507 Å, I 143

---

[4]
For VMo4W4, a structure optimized by DFT (GGA-PBE) gives the calculated powder diffractogram in this record (Cu Kα, 1.54184 Å).
No peak broadening, texture or thermal motion is included.

Structural model:
~~~
Mr Peacher met his wife in 1987 and they were married in
1992, but it was several years later before she was finally able
to tell him about the attacks.
He said: "Joanne has been left with mental health
problems because of what happened to her and she will have to
take some powerful drugs for the rest of her life.
"Because of this we have lost our children and it all
links back to what happened at Nazareth House. If she hadn't been
in care then she could have had a normal life."
The abuse was reported to the former Strathclyde Police
in 2001 while the couple were living in Wishaw, Lanarkshire.
However, three years later the procurator fiscal in Glasgow told
them there was not enough evidence to proceed.
Mrs Peacher, who is still terrified by the thought of
the woman in the surgical mask "coming back to get me", said she
was "really upset" and they decided not to pursue the case any
Now, however, they have decided to make another attempt
at getting some kind of justice. Mr Peacher, 47, said: "It seems
like the only way to expose what has been going on."
A spokesman for the Sisters of Nazareth said they would
help the police with their inquiry and would also launch their
own internal investigation into the claims.
He added: "While we can't comment specifically on this
case, we deplore any abuse or mistreatment of children. We would
advise Mrs Peacher to go back to the police again and also to
speak to the Archdiocese of Glasgow Safeguarding Office.
"If she also reports the matter directly to the Sisters
of Nazareth it will be dealt with appropriately and
A Police Scotland spokeswoman said: "We can confirm that
a complaint has been made and inquiries are ongoing."